[Excerpt]
/*
A cluster of 5 separate species, C48H98BN5O18P in total in a non-equilibrium geometry. Source: the Open Molecules 2025 dataset; level of theory: wB97M-V/def2-TZVPD.

XYZ file:
```
171
Properties=species:S:1:pos:R:3:mulliken_charge:R:1
H 1.06 0.61 -0.75 -0.81
O 1.42 -1.52 0.57 -0.30
H 8.72 6.06 12.83 0.29
H 1.50 -8.60 -2.55 0.37
H 3.92 0.52 -0.65 -0.03
H -1.07 1.82 -1.58 0.32
C -8.77 1.62 -2.90 -0.84
H -8.48 -4.51 -10.05 0.38
H -9.69 2.19 -3.04 0.38
O -9.43 -4.19 -8.28 -0.26
O 5.68 2.48 11.26 -0.29
H -7.56 4.14 -1.24 0.24
H -3.57 0.58 -3.94 0.24
O 1.12 -3.24 -0.83 -0.48
C -1.06 0.36 0.83 -0.47
C -6.80 3.27 -4.69 -0.34
H -2.41 1.65 2.02 0.24
O -8.76 -1.28 -7.51 -0.24
H -9.98 -6.13 -7.81 0.28
H 0.45 3.55 2.94 0.52
O 4.51 2.34 3.99 -0.64
H -0.41 -0.15 1.56 0.03
H 5.12 -7.35 -6.20 0.35
H -6.77 4.05 -5.45 0.42
C -3.66 0.26 0.84 -1.58
H -3.32 -0.35 3.39 0.45
H 4.53 2.15 -0.18 0.48
H -8.53 -2.07 -9.76 0.04
H 0.63 4.12 5.03 0.32
H 7.41 4.11 9.89 0.06
C 2.21 -8.12 -4.51 -0.28
N 6.50 2.10 2.16 -0.56
H -9.98 0.26 -8.19 0.41
H 5.31 -9.36 -5.52 0.41
H -4.04 1.10 0.26 0.42
H 6.92 1.65 2.97 0.24
C -10.97 -1.61 -8.52 -0.45
C 4.23 -0.64 -3.76 -0.68
H 3.46 -5.66 -4.26 -0.18
C 4.66 -1.61 -2.86 -1.24
O -10.59 -1.85 -9.87 -0.46
N 2.35 5.09 4.41 -0.38
H -3.54 -0.65 0.25 0.32
H 3.58 -5.49 -5.99 0.43
C -4.66 0.50 -4.01 -0.78
H 5.66 -2.03 -2.87 0.52
H 5.57 6.34 12.52 0.38
C 8.42 5.54 11.92 -0.82
C 2.49 -1.60 -1.80 0.63
C -0.37 1.70 0.48 1.63
O 7.09 5.07 12.05 -0.30
H 4.52 4.57 11.18 0.09
C 6.48 3.84 9.39 -0.27
C -9.41 -4.05 -9.69 -0.49
O 5.81 -0.24 4.14 -0.50
H -10.50 -0.56 -6.72 0.31
H -4.95 0.21 -5.03 0.37
P 4.81 2.35 2.36 -0.18
H 0.85 -7.09 -3.21 0.31
B 5.28 -1.07 3.22 0.62
H 2.09 3.19 5.43 0.40
H 4.94 -0.28 -4.49 0.48
O 2.50 -7.07 -5.43 -0.48
H 6.16 -2.79 3.51 0.31
C 2.06 -0.67 -2.72 0.22
H -7.41 0.16 -6.92 -0.01
H 5.92 -0.74 4.96 0.29
C 5.96 2.49 9.87 -0.55
H 0.98 1.42 4.61 1.02
H -1.27 -0.25 -0.05 0.60
H 1.60 -5.28 -2.42 0.45
H -5.15 2.25 -5.60 0.35
H -7.92 0.26 -8.63 0.42
C 5.71 -9.03 -4.56 -0.85
C -7.68 -0.41 -7.81 -0.58
H 6.74 3.72 8.33 0.42
H -7.05 3.78 -3.75 0.11
H 4.12 2.35 12.55 0.25
H -4.69 3.48 -4.40 0.40
O 5.18 -7.78 -4.16 -0.28
H 1.75 6.89 5.81 0.26
H 3.06 4.94 3.70 0.31
H 3.23 -5.15 -1.75 0.23
C 3.01 5.54 5.62 0.39
C 2.55 0.65 1.51 0.17
C -8.17 1.29 -4.26 0.14
H 1.67 -0.42 3.19 0.50
C 4.42 1.93 11.59 -0.83
H 4.34 6.13 10.46 0.45
N 2.58 6.53 6.27 -0.75
C -9.41 -2.59 -10.13 -0.27
C -2.36 -0.31 2.88 -1.45
H 3.65 2.19 10.86 0.39
O -7.84 2.40 -5.09 -0.45
H -10.64 -4.84 -6.78 0.23
H 1.04 -0.28 -2.67 0.73
C 1.75 -7.70 -3.13 -0.49
H 6.96 2.98 1.95 0.31
C 2.35 -5.80 -1.82 -0.86
H -9.03 0.68 -2.41 0.35
H -0.95 3.40 -0.81 0.45
H 4.49 0.85 11.69 0.29
H 9.06 4.67 11.78 0.24
H -7.32 0.61 -4.16 0.09
C 4.98 -6.87 -5.22 -0.55
C -2.38 0.63 1.63 0.70
H 8.54 6.19 11.05 0.39
H -10.25 -4.57 -10.16 0.34
C -5.40 2.67 -4.63 -0.57
C 1.06 1.58 3.52 -0.74
H -11.16 -2.55 -8.00 0.14
H 6.74 1.74 9.69 0.38
C 1.66 -2.18 -0.68 -0.49
C -8.39 3.46 -1.44 -0.87
C 3.79 -2.06 -1.91 0.58
H 2.15 3.32 2.60 0.35
H -9.31 -2.59 -11.22 0.42
H 2.96 0.62 3.73 0.36
H 3.03 -8.83 -4.46 0.07
H 5.54 -0.93 1.12 0.18
H 1.11 2.35 -0.87 0.59
C -1.23 2.36 -0.64 -1.72
H 6.80 -8.98 -4.60 0.29
O 2.15 1.71 0.73 -0.06
H -11.31 -5.08 -8.39 0.41
H 6.54 6.86 11.14 0.36
C 1.03 1.53 -0.15 -0.26
C 3.60 -6.22 -5.18 0.02
H -0.36 2.42 1.30 -0.43
H -2.06 -1.31 2.52 0.30
H 1.38 -8.67 -4.96 0.43
H 5.73 -6.08 -5.12 0.37
H 5.08 2.22 9.28 0.34
H 3.78 -2.47 1.02 1.01
H 5.42 -9.77 -3.81 0.24
O -7.86 2.30 -2.05 -0.22
C 4.72 -0.62 1.80 -0.79
N 4.18 4.82 5.98 -0.20
H -9.10 3.98 -2.08 0.40
H -11.93 -1.11 -8.58 0.44
C 4.12 0.82 1.57 1.63
H -1.60 -0.01 3.62 0.25
C 2.93 -0.21 -3.67 -0.88
O 2.77 -7.01 -2.41 -0.34
C -10.05 -0.72 -7.71 -0.46
C 6.09 5.99 11.62 -0.55
O -5.27 1.70 -3.60 -0.22
H 0.05 1.37 3.15 -0.77
O 5.26 -2.45 3.50 -0.60
O 5.56 4.92 9.42 -0.43
C 1.63 3.83 4.67 -0.89
C 2.11 0.57 3.03 -1.05
H -4.44 0.04 1.58 0.42
H -8.93 0.73 -4.81 0.25
H -8.86 3.21 -0.48 0.28
C 3.58 -1.42 1.23 -0.72
H -2.30 2.30 -0.43 0.34
*/

[Wanted]
Now set down all of the calculation results earlier on without altering anything.

[Here it is]
A cluster of 5 separate species, C48H98BN5O18P in total in a non-equilibrium geometry. Source: the Open Molecules 2025 dataset; level of theory: wB97M-V/def2-TZVPD.

XYZ file:
```
171
Properties=species:S:1:pos:R:3:mulliken_charge:R:1
H 1.06 0.61 -0.75 -0.81
O 1.42 -1.52 0.57 -0.30
H 8.72 6.06 12.83 0.29
H 1.50 -8.60 -2.55 0.37
H 3.92 0.52 -0.65 -0.03
H -1.07 1.82 -1.58 0.32
C -8.77 1.62 -2.90 -0.84
H -8.48 -4.51 -10.05 0.38
H -9.69 2.19 -3.04 0.38
O -9.43 -4.19 -8.28 -0.26
O 5.68 2.48 11.26 -0.29
H -7.56 4.14 -1.24 0.24
H -3.57 0.58 -3.94 0.24
O 1.12 -3.24 -0.83 -0.48
C -1.06 0.36 0.83 -0.47
C -6.80 3.27 -4.69 -0.34
H -2.41 1.65 2.02 0.24
O -8.76 -1.28 -7.51 -0.24
H -9.98 -6.13 -7.81 0.28
H 0.45 3.55 2.94 0.52
O 4.51 2.34 3.99 -0.64
H -0.41 -0.15 1.56 0.03
H 5.12 -7.35 -6.20 0.35
H -6.77 4.05 -5.45 0.42
C -3.66 0.26 0.84 -1.58
H -3.32 -0.35 3.39 0.45
H 4.53 2.15 -0.18 0.48
H -8.53 -2.07 -9.76 0.04
H 0.63 4.12 5.03 0.32
H 7.41 4.11 9.89 0.06
C 2.21 -8.12 -4.51 -0.28
N 6.50 2.10 2.16 -0.56
H -9.98 0.26 -8.19 0.41
H 5.31 -9.36 -5.52 0.41
H -4.04 1.10 0.26 0.42
H 6.92 1.65 2.97 0.24
C -10.97 -1.61 -8.52 -0.45
C 4.23 -0.64 -3.76 -0.68
H 3.46 -5.66 -4.26 -0.18
C 4.66 -1.61 -2.86 -1.24
O -10.59 -1.85 -9.87 -0.46
N 2.35 5.09 4.41 -0.38
H -3.54 -0.65 0.25 0.32
H 3.58 -5.49 -5.99 0.43
C -4.66 0.50 -4.01 -0.78
H 5.66 -2.03 -2.87 0.52
H 5.57 6.34 12.52 0.38
C 8.42 5.54 11.92 -0.82
C 2.49 -1.60 -1.80 0.63
C -0.37 1.70 0.48 1.63
O 7.09 5.07 12.05 -0.30
H 4.52 4.57 11.18 0.09
C 6.48 3.84 9.39 -0.27
C -9.41 -4.05 -9.69 -0.49
O 5.81 -0.24 4.14 -0.50
H -10.50 -0.56 -6.72 0.31
H -4.95 0.21 -5.03 0.37
P 4.81 2.35 2.36 -0.18
H 0.85 -7.09 -3.21 0.31
B 5.28 -1.07 3.22 0.62
H 2.09 3.19 5.43 0.40
H 4.94 -0.28 -4.49 0.48
O 2.50 -7.07 -5.43 -0.48
H 6.16 -2.79 3.51 0.31
C 2.06 -0.67 -2.72 0.22
H -7.41 0.16 -6.92 -0.01
H 5.92 -0.74 4.96 0.29
C 5.96 2.49 9.87 -0.55
H 0.98 1.42 4.61 1.02
H -1.27 -0.25 -0.05 0.60
H 1.60 -5.28 -2.42 0.45
H -5.15 2.25 -5.60 0.35
H -7.92 0.26 -8.63 0.42
C 5.71 -9.03 -4.56 -0.85
C -7.68 -0.41 -7.81 -0.58
H 6.74 3.72 8.33 0.42
H -7.05 3.78 -3.75 0.11
H 4.12 2.35 12.55 0.25
H -4.69 3.48 -4.40 0.40
O 5.18 -7.78 -4.16 -0.28
H 1.75 6.89 5.81 0.26
H 3.06 4.94 3.70 0.31
H 3.23 -5.15 -1.75 0.23
C 3.01 5.54 5.62 0.39
C 2.55 0.65 1.51 0.17
C -8.17 1.29 -4.26 0.14
H 1.67 -0.42 3.19 0.50
C 4.42 1.93 11.59 -0.83
H 4.34 6.13 10.46 0.45
N 2.58 6.53 6.27 -0.75
C -9.41 -2.59 -10.13 -0.27
C -2.36 -0.31 2.88 -1.45
H 3.65 2.19 10.86 0.39
O -7.84 2.40 -5.09 -0.45
H -10.64 -4.84 -6.78 0.23
H 1.04 -0.28 -2.67 0.73
C 1.75 -7.70 -3.13 -0.49
H 6.96 2.98 1.95 0.31
C 2.35 -5.80 -1.82 -0.86
H -9.03 0.68 -2.41 0.35
H -0.95 3.40 -0.81 0.45
H 4.49 0.85 11.69 0.29
H 9.06 4.67 11.78 0.24
H -7.32 0.61 -4.16 0.09
C 4.98 -6.87 -5.22 -0.55
C -2.38 0.63 1.63 0.70
H 8.54 6.19 11.05 0.39
H -10.25 -4.57 -10.16 0.34
C -5.40 2.67 -4.63 -0.57
C 1.06 1.58 3.52 -0.74
H -11.16 -2.55 -8.00 0.14
H 6.74 1.74 9.69 0.38
C 1.66 -2.18 -0.68 -0.49
C -8.39 3.46 -1.44 -0.87
C 3.79 -2.06 -1.91 0.58
H 2.15 3.32 2.60 0.35
H -9.31 -2.59 -11.22 0.42
H 2.96 0.62 3.73 0.36
H 3.03 -8.83 -4.46 0.07
H 5.54 -0.93 1.12 0.18
H 1.11 2.35 -0.87 0.59
C -1.23 2.36 -0.64 -1.72
H 6.80 -8.98 -4.60 0.29
O 2.15 1.71 0.73 -0.06
H -11.31 -5.08 -8.39 0.41
H 6.54 6.86 11.14 0.36
C 1.03 1.53 -0.15 -0.26
C 3.60 -6.22 -5.18 0.02
H -0.36 2.42 1.30 -0.43
H -2.06 -1.31 2.52 0.30
H 1.38 -8.67 -4.96 0.43
H 5.73 -6.08 -5.12 0.37
H 5.08 2.22 9.28 0.34
H 3.78 -2.47 1.02 1.01
H 5.42 -9.77 -3.81 0.24
O -7.86 2.30 -2.05 -0.22
C 4.72 -0.62 1.80 -0.79
N 4.18 4.82 5.98 -0.20
H -9.10 3.98 -2.08 0.40
H -11.93 -1.11 -8.58 0.44
C 4.12 0.82 1.57 1.63
H -1.60 -0.01 3.62 0.25
C 2.93 -0.21 -3.67 -0.88
O 2.77 -7.01 -2.41 -0.34
C -10.05 -0.72 -7.71 -0.46
C 6.09 5.99 11.62 -0.55
O -5.27 1.70 -3.60 -0.22
H 0.05 1.37 3.15 -0.77
O 5.26 -2.45 3.50 -0.60
O 5.56 4.92 9.42 -0.43
C 1.63 3.83 4.67 -0.89
C 2.11 0.57 3.03 -1.05
H -4.44 0.04 1.58 0.42
H -8.93 0.73 -4.81 0.25
H -8.86 3.21 -0.48 0.28
C 3.58 -1.42 1.23 -0.72
H -2.30 2.30 -0.43 0.34